Wanted:
Please transcribe everything below word for word.

Contents:
/*
No. 1
Na15Ca4Nb8Si9P9O72: optimized geometry, PBE.

a = 9.133 Å, b = 9.151 Å, c = 22.619 Å
α = 90.03°, β = 90.00°, γ = 119.74°
Space group P1 (No. 1)
One atom of each set of equivalent atoms:
Na 0.000 0.000 0.000
Na 0.002 0.313 0.915
Na 0.012 0.950 0.673
Na 0.019 0.333 0.414
Na 0.046 0.664 0.821
Na 0.344 0.349 0.499
Na 0.350 0.978 0.248
Na 0.351 0.602 0.998
Na 0.384 0.987 0.747
Na 0.393 0.337 0.172
Na 0.672 0.951 0.172
Na 0.683 0.339 0.670
Na 0.691 0.654 0.585
Na 0.715 0.638 0.084
Na 0.749 0.005 0.498
Ca 0.015 0.325 0.055
Ca 0.028 0.333 0.555
Ca 0.682 0.652 0.731
Ca 0.699 0.653 0.233
Nb 0.024 0.320 0.266
Nb 0.031 0.322 0.766
Nb 0.355 0.985 0.598
Nb 0.359 0.981 0.098
Nb 0.361 0.996 0.389
Nb 0.364 0.989 0.890
Nb 0.695 0.655 0.927
Nb 0.700 0.655 0.426
Si 0.061 0.971 0.493
Si 0.063 0.702 0.992
Si 0.390 0.356 0.325
Si 0.396 0.656 0.828
Si 0.643 0.285 0.493
Si 0.647 0.974 0.993
Si 0.692 0.353 0.824
Si 0.693 0.955 0.325
Si 0.992 0.955 0.826
P 0.036 0.033 0.158
P 0.036 0.623 0.662
P 0.315 0.618 0.158
P 0.318 0.312 0.657
P 0.376 0.710 0.491
P 0.379 0.282 0.995
P 0.724 0.312 0.161
P 0.731 0.034 0.657
P 0.996 0.653 0.328
O 0.013 0.517 0.608
O 0.023 0.108 0.100
O 0.050 0.141 0.491
O 0.050 0.156 0.211
O 0.050 0.533 0.720
O 0.065 0.529 0.988
O 0.160 0.957 0.555
O 0.170 0.826 0.052
O 0.172 0.823 0.937
O 0.177 0.795 0.342
O 0.179 0.970 0.440
O 0.185 0.999 0.842
O 0.197 0.517 0.212
O 0.199 0.301 0.710
O 0.205 0.349 0.320
O 0.207 0.800 0.658
O 0.209 0.479 0.819
O 0.211 0.034 0.160
O 0.221 0.300 0.995
O 0.231 0.530 0.492
O 0.242 0.318 0.597
O 0.246 0.530 0.100
O 0.317 0.135 0.660
O 0.325 0.799 0.157
O 0.339 0.799 0.841
O 0.346 0.161 0.340
O 0.368 0.172 0.943
O 0.368 0.807 0.438
O 0.386 0.817 0.549
O 0.391 0.191 0.054
O 0.486 0.410 0.264
O 0.491 0.624 0.886
O 0.495 0.649 0.165
O 0.501 0.454 0.661
O 0.503 0.488 0.381
O 0.503 0.710 0.770
O 0.524 0.165 0.440
O 0.524 0.182 0.554
O 0.529 0.977 0.940
O 0.532 0.964 0.055
O 0.537 0.989 0.341
O 0.540 0.458 0.991
O 0.541 0.164 0.841
O 0.548 0.137 0.161
O 0.548 0.708 0.490
O 0.554 0.028 0.659
O 0.644 0.466 0.489
O 0.645 0.792 0.991
O 0.657 0.408 0.762
O 0.657 0.861 0.263
O 0.687 0.457 0.164
O 0.716 0.861 0.665
O 0.722 0.846 0.380
O 0.723 0.495 0.877
O 0.812 0.320 0.104
O 0.817 0.107 0.598
O 0.820 0.291 0.490
O 0.826 0.299 0.215
O 0.836 0.126 0.990
O 0.837 0.159 0.710
O 0.857 0.851 0.883
O 0.868 0.143 0.320
O 0.870 0.627 0.381
O 0.871 0.804 0.488
O 0.875 0.352 0.821
O 0.879 0.694 0.990
O 0.884 0.858 0.166
O 0.887 0.657 0.665
O 0.939 0.698 0.272
O 0.940 0.838 0.769
O 0.998 0.137 0.817
O 0.999 0.485 0.323

Summary:
V in Å³/f.u.: 1641.6
VASP energy in eV for the cell shown: -852.58
E_form in meV per atom: -2902



No. 2
Na21Ca4Nb8Si15P3O72: optimized geometry, PBE.

a = 9.245 Å, b = 9.254 Å, c = 22.457 Å
α = 89.79°, β = 89.88°, γ = 60.13°
Space group P1 (No. 1)
One atom of each set of equivalent atoms:
Na 0.000 0.000 0.000
Na 0.000 0.334 0.494
Na 0.270 0.721 0.495
Na 0.273 0.326 0.000
Na 0.281 0.375 0.341
Na 0.292 0.027 0.581
Na 0.293 0.028 0.081
Na 0.342 0.668 0.169
Na 0.347 0.314 0.665
Na 0.587 0.074 0.166
Na 0.593 0.668 0.668
Na 0.603 0.001 0.497
Na 0.610 0.726 0.997
Na 0.615 0.361 0.754
Na 0.636 0.350 0.251
Na 0.648 0.012 0.844
Na 0.941 0.376 0.843
Na 0.942 0.072 0.668
Na 0.942 0.317 0.165
Na 0.942 0.702 0.416
Na 0.976 0.685 0.923
Ca 0.292 0.017 0.933
Ca 0.293 0.017 0.431
Ca 0.625 0.351 0.109
Ca 0.626 0.351 0.609
Nb 0.290 0.020 0.239
Nb 0.294 0.018 0.738
Nb 0.621 0.354 0.399
Nb 0.629 0.350 0.904
Nb 0.954 0.687 0.069
Nb 0.956 0.688 0.276
Nb 0.961 0.686 0.775
Nb 0.963 0.682 0.568
Si 0.241 0.390 0.174
Si 0.243 0.700 0.672
Si 0.291 0.717 0.341
Si 0.294 0.321 0.840
Si 0.324 0.355 0.509
Si 0.593 0.714 0.839
Si 0.595 0.018 0.341
Si 0.632 0.049 0.009
Si 0.660 0.699 0.174
Si 0.663 0.968 0.673
Si 0.924 0.357 0.009
Si 0.972 0.389 0.674
Si 0.973 0.968 0.173
Si 0.988 0.321 0.340
Si 0.989 0.019 0.841
P 0.328 0.640 0.007
P 0.634 0.642 0.508
P 0.915 0.053 0.508
O 0.081 0.984 0.903
O 0.094 0.019 0.500
O 0.096 0.187 0.284
*/

Written answer:
No. 1
Na15Ca4Nb8Si9P9O72: optimized geometry, PBE.

a = 9.133 Å, b = 9.151 Å, c = 22.619 Å
α = 90.03°, β = 90.00°, γ = 119.74°
Space group P1 (No. 1)
One atom of each set of equivalent atoms:
Na 0.000 0.000 0.000
Na 0.002 0.313 0.915
Na 0.012 0.950 0.673
Na 0.019 0.333 0.414
Na 0.046 0.664 0.821
Na 0.344 0.349 0.499
Na 0.350 0.978 0.248
Na 0.351 0.602 0.998
Na 0.384 0.987 0.747
Na 0.393 0.337 0.172
Na 0.672 0.951 0.172
Na 0.683 0.339 0.670
Na 0.691 0.654 0.585
Na 0.715 0.638 0.084
Na 0.749 0.005 0.498
Ca 0.015 0.325 0.055
Ca 0.028 0.333 0.555
Ca 0.682 0.652 0.731
Ca 0.699 0.653 0.233
Nb 0.024 0.320 0.266
Nb 0.031 0.322 0.766
Nb 0.355 0.985 0.598
Nb 0.359 0.981 0.098
Nb 0.361 0.996 0.389
Nb 0.364 0.989 0.890
Nb 0.695 0.655 0.927
Nb 0.700 0.655 0.426
Si 0.061 0.971 0.493
Si 0.063 0.702 0.992
Si 0.390 0.356 0.325
Si 0.396 0.656 0.828
Si 0.643 0.285 0.493
Si 0.647 0.974 0.993
Si 0.692 0.353 0.824
Si 0.693 0.955 0.325
Si 0.992 0.955 0.826
P 0.036 0.033 0.158
P 0.036 0.623 0.662
P 0.315 0.618 0.158
P 0.318 0.312 0.657
P 0.376 0.710 0.491
P 0.379 0.282 0.995
P 0.724 0.312 0.161
P 0.731 0.034 0.657
P 0.996 0.653 0.328
O 0.013 0.517 0.608
O 0.023 0.108 0.100
O 0.050 0.141 0.491
O 0.050 0.156 0.211
O 0.050 0.533 0.720
O 0.065 0.529 0.988
O 0.160 0.957 0.555
O 0.170 0.826 0.052
O 0.172 0.823 0.937
O 0.177 0.795 0.342
O 0.179 0.970 0.440
O 0.185 0.999 0.842
O 0.197 0.517 0.212
O 0.199 0.301 0.710
O 0.205 0.349 0.320
O 0.207 0.800 0.658
O 0.209 0.479 0.819
O 0.211 0.034 0.160
O 0.221 0.300 0.995
O 0.231 0.530 0.492
O 0.242 0.318 0.597
O 0.246 0.530 0.100
O 0.317 0.135 0.660
O 0.325 0.799 0.157
O 0.339 0.799 0.841
O 0.346 0.161 0.340
O 0.368 0.172 0.943
O 0.368 0.807 0.438
O 0.386 0.817 0.549
O 0.391 0.191 0.054
O 0.486 0.410 0.264
O 0.491 0.624 0.886
O 0.495 0.649 0.165
O 0.501 0.454 0.661
O 0.503 0.488 0.381
O 0.503 0.710 0.770
O 0.524 0.165 0.440
O 0.524 0.182 0.554
O 0.529 0.977 0.940
O 0.532 0.964 0.055
O 0.537 0.989 0.341
O 0.540 0.458 0.991
O 0.541 0.164 0.841
O 0.548 0.137 0.161
O 0.548 0.708 0.490
O 0.554 0.028 0.659
O 0.644 0.466 0.489
O 0.645 0.792 0.991
O 0.657 0.408 0.762
O 0.657 0.861 0.263
O 0.687 0.457 0.164
O 0.716 0.861 0.665
O 0.722 0.846 0.380
O 0.723 0.495 0.877
O 0.812 0.320 0.104
O 0.817 0.107 0.598
O 0.820 0.291 0.490
O 0.826 0.299 0.215
O 0.836 0.126 0.990
O 0.837 0.159 0.710
O 0.857 0.851 0.883
O 0.868 0.143 0.320
O 0.870 0.627 0.381
O 0.871 0.804 0.488
O 0.875 0.352 0.821
O 0.879 0.694 0.990
O 0.884 0.858 0.166
O 0.887 0.657 0.665
O 0.939 0.698 0.272
O 0.940 0.838 0.769
O 0.998 0.137 0.817
O 0.999 0.485 0.323

Summary:
V in Å³/f.u.: 1641.6
VASP energy in eV for the cell shown: -852.58
E_form in meV per atom: -2902



No. 2
Na21Ca4Nb8Si15P3O72: optimized geometry, PBE.

a = 9.245 Å, b = 9.254 Å, c = 22.457 Å
α = 89.79°, β = 89.88°, γ = 60.13°
Space group P1 (No. 1)
One atom of each set of equivalent atoms:
Na 0.000 0.000 0.000
Na 0.000 0.334 0.494
Na 0.270 0.721 0.495
Na 0.273 0.326 0.000
Na 0.281 0.375 0.341
Na 0.292 0.027 0.581
Na 0.293 0.028 0.081
Na 0.342 0.668 0.169
Na 0.347 0.314 0.665
Na 0.587 0.074 0.166
Na 0.593 0.668 0.668
Na 0.603 0.001 0.497
Na 0.610 0.726 0.997
Na 0.615 0.361 0.754
Na 0.636 0.350 0.251
Na 0.648 0.012 0.844
Na 0.941 0.376 0.843
Na 0.942 0.072 0.668
Na 0.942 0.317 0.165
Na 0.942 0.702 0.416
Na 0.976 0.685 0.923
Ca 0.292 0.017 0.933
Ca 0.293 0.017 0.431
Ca 0.625 0.351 0.109
Ca 0.626 0.351 0.609
Nb 0.290 0.020 0.239
Nb 0.294 0.018 0.738
Nb 0.621 0.354 0.399
Nb 0.629 0.350 0.904
Nb 0.954 0.687 0.069
Nb 0.956 0.688 0.276
Nb 0.961 0.686 0.775
Nb 0.963 0.682 0.568
Si 0.241 0.390 0.174
Si 0.243 0.700 0.672
Si 0.291 0.717 0.341
Si 0.294 0.321 0.840
Si 0.324 0.355 0.509
Si 0.593 0.714 0.839
Si 0.595 0.018 0.341
Si 0.632 0.049 0.009
Si 0.660 0.699 0.174
Si 0.663 0.968 0.673
Si 0.924 0.357 0.009
Si 0.972 0.389 0.674
Si 0.973 0.968 0.173
Si 0.988 0.321 0.340
Si 0.989 0.019 0.841
P 0.328 0.640 0.007
P 0.634 0.642 0.508
P 0.915 0.053 0.508
O 0.081 0.984 0.903
O 0.094 0.019 0.500
O 0.096 0.187 0.284